

The House

I have wanted to share some pictures of our house for a while now.  
I finally got around to taking pictures, so here it is!
This is our bedroom, in the mid morning sunlight.

I love my bedside table, with my basket of goodies (lotion, pens, chapstick...) and my frames filled with photos of me & my kids.  

I also love my bookshelf. Full of books I've read, photo albums, empty journals and books I've yet to read.

The bottom two shelves are children's books for the boys,
and I also have a special shelf for my jewelry box.

I have loved having a couch in our bedroom.  
We read to the boys on it at night sometimes, and it makes a cozy spot for them to read when I'm laying Wyatt down for his afternoon nap. (One brother reads in the playroom, the other upstairs in our room.)

This is the view out my window.  The mountain just past the tundra, sun rising... It's gorgeous.
At night, when the stars & moon are out, it's even better!

On our dresser we have a few knick knacks and our ever-important humidifier. We would be lost without that thing here.  We fill it to the top every night, and by morning it's empty.

I recently hung this necklace hanger that my grandma got me when I was a little girl. I love it.  
Above that is our Senior Homecoming Picture from October 2000.

April 11th marks 14 years since we started dating...
Some mornings I stand in front of that picture, staring at those youthful faces,
and I just can't believe it's been that long already!

In addition to showing you my (recently cleaned) bedroom, I wanted to show you my linen closet.  

Upstairs in the hallway we have a really good sized linen closet, and I put my organizational skills to the test stocking it with everything we could need in rural Alaska.

On the back of the door I used a shoe rack to store personal care items.
Here we have:
Baby oil, my inhaler, mousse & extra facewash,

Rubbing alcohol, lots of mini lotion, and two nets full of shaving cream,

Deodorant, a variety of chapsticks, my ProActiv, Josh's Rx,

Extra toothbrushes, hairspray, even more ProActiv, and Josh's deodorant with my razors,

Cream, shampoo & conditioner, coconut shampoo, hair gel for Josh,

Lint rollers, more shampoo & conditioner, & some Herbal Essences.

In addition to the back of the door, I also extended my organizational skills to the shelving.
Here we have Kleenex, and a bag of all our travel-size toiletries.

Stacks of Dove soap purchased on Amazon,

Qtips purchased while home in Washington this summer,

Towels for the kids' bathroom which is downstairs,

Medication for any and all ailments we could possibly catch.
We have a veritable drugstore-- tylenol, maalox, cough drops... 
You name it, we got it!

On the third shelf I have all my Bath & Body products lined up.
Body scrub, hand soap, bottles of lotion...

As well as towels for our bathroom, which is directly across the hall from the linen closet,
and a scale.

On the upper shelf I have an iron (which has never been used in all our time here), my sewing kit, and my heating pad as well as some of the flax-seed heat-packs I own.

On the tippy top shelf I have water proofing (for boots & such) and a shoe shine kit that I use for my Dansko's. 

On the floor you can see we have a cow humidifier (from when Wyatt slept in the playroom), Wyatt's old bath seat (which he has outgrown) and an extra sleeping bag for Josh to use when he has to travel & stay in other villages'.

I am very proud of the fact that we rarely run out of anything.  I consider it my responsibility to make sure we have plenty of everything on hand, and I take my job very seriously!

I posted this mostly because I love seeing what other people's houses look like (particularly how they are organized)-- I'm a bit of a voyeur that way-- and I thought if I shared mine, maybe you all would share yours!


The Last Week in February!?!

 The weather this week has been very warm for this time of year.  
In the upper thirties with mild wind some days.  

So I geared these crazy boys up, and out we went.

(And yes, this is what getting three boys out the door in snow gear looks like. Lots of unnecessary wrestling & an overabundance of boots and bodies in the arctic entry.)

 At the park we played with this puppy & the student who owns him. 
He was so cute!

 The twins brought their bikes and rode around in the snow.

Between two parts of the piece: calculated molecules:
********
Here is a molecular structure, C6H18BrLiO6 from OMol25. Energies are from ωB97M-V/def2-TZVPD.

Structure (ORCA input):
```
! wB97M-V def2-TZVPD RIJCOSX def2/J DEFGRID3
* xyz 0 1
Li -11.94868 14.87977 -12.63483
Br -14.37665 12.20776 -12.48644
C -18.80953 11.79734 -17.64042
C -19.75388 12.01808 -18.81071
O -20.98748 12.61129 -18.35928
O -17.71935 12.71048 -17.62779
H -18.32463 10.87483 -17.95972
H -19.34075 11.61586 -16.70608
H -19.92468 11.02125 -19.21721
H -19.34985 12.68701 -19.57058
H -21.49457 11.92815 -17.91457
H -17.03212 12.46250 -17.00503
C -13.79013 18.63534 -11.21034
C -15.12100 18.23780 -11.81401
O -15.74924 17.22829 -10.98132
O -12.87436 17.62110 -11.12729
H -13.85977 18.79144 -10.13383
H -13.40722 19.46548 -11.80393
H -15.11051 18.12296 -12.89789
H -15.75536 19.11930 -11.72101
H -15.19320 16.45058 -11.06844
H -12.02064 18.02785 -11.29255
C -14.18570 14.71119 -6.18373
C -13.56465 14.19437 -4.77592
O -14.58581 13.95628 -3.80909
O -15.00580 13.73876 -6.90080
H -13.29774 14.83206 -6.80422
H -14.74642 15.62518 -5.98799
H -12.74014 14.69127 -4.26466
H -13.10041 13.21279 -4.87121
H -14.20576 13.70167 -2.96510
H -15.11315 14.05941 -7.79928
*
```

The calculation puts the total energy at -89042.583 eV. The energy relative to the best compared isomer or geometry (same formula, charge and spin) is 84.7 kcal/mol. The value obtained for the molar mass is 273.05 g mol⁻¹. The calculation puts the frontier orbital gap at 5.5 eV.

Here are the natural (NBO) charges for atoms 1 to 2, given in e:
1. Li 0.927
2. Br -0.936


#A
{
  "formula": "C9H9NO3",
  "method": "ωB97M-V/def2-TZVPD",
  "gap_ev": 8.11,
  "total_charge": 0,
  "lumo_energy_ev": -0.526,
  "homo_energy_ev": -8.638,
  "symbols": ["C", "C", "C", "C", "C", "C", "C", "C", "C", "N", "O", "O", "O", "H", "H", "H", "H", "H", "H", "H", "H", "H"],
  "xyz": [[0.4573, -1.9216, 2.1173], [-0.2974, -0.8319, 2.5023], [0.8298, -2.1362, 0.7625], [-0.7482, -0.0143, 1.5665], [0.2482, -1.2689, -0.1975], [-0.5279, -0.2204, 0.1754], [0.1384, 3.1188, -1.8907], [0.5403, 2.1607, -0.9659], [-0.9931, 0.7354, -0.7848], [0.9719, 2.3431, 0.4058], [1.9797, 1.7468, 0.7605], [0.0976, 2.8885, 1.1174], [1.3333, 2.2330, -2.0836], [0.7682, -2.6181, 2.9054], [-0.2273, -0.4760, 3.4624], [1.4156, -3.0282, 0.3512], [-1.2684, 0.8229, 1.9450], [0.5317, -1.6201, -1.2668], [-0.7000, 2.8885, -2.5383], [0.4786, 4.1923, -1.7970], [-0.9342, 0.4136, -1.7989], [-1.6139, 1.6044, -0.4461]]
}

#B
{
  "formula": "C9H9NO3",
  "method": "ωB97M-V/def2-TZVPD",
  "gap_ev": 9.45,
  "total_charge": 0,
  "lumo_energy_ev": 0.567,
  "homo_energy_ev": -8.885,
  "smiles": "N[C@@]1(Cc2ccccc2O)OC1=O",
  "symbols": ["N", "C", "C", "C", "C", "C", "C", "C", "C", "O", "O", "C", "O", "H", "H", "H", "H", "H", "H", "H", "H", "H"],
********

 We also climbed on the play equipment.  I pushed boys on swings and we laughed, and the entire time, I never thought of my anxiety once.

It's been a week since I took any anxiety medication.
It's been a week since I woke up crying.
It's been a week since my heart pounded in my chest & my thoughts raced.

 I feel like I am living for the first time.

The sun shines brighter,
things smell sweeter,
and it seems even the kids laugh louder.


 We're potty training this cutie.  It's going well!  Wednesday he had no accidents at all!

 Homeschooling is going well, too.  The boys reading has really taken off, and last night they read their first "real" books to Josh.  They were so proud of themselves!

 The three have been fighting constantly lately, so I was happy (as were they) with the opportunity to get outside and run off some steam!

Today we got the tent they ordered, along with the fake campfire (which is really just a glowing light) and their kid-friendly Swiss Army knives.  

 I will be posting pictures soon. They were all so excited! I'm excited, too, because it will entertain them for days!

I love this series of pictures:

 They had so much fun crashing each other on the slide!


 I have been making dinner every night for two weeks, and it's amazing how much better I feel.  It's a lot of work to get in the kitchen with three boys running around, but when we sit down to a meal together as a family, it's all worth it.

I feel like their manners are improving with more meals taken together, and I just like the feeling of providing my family with a well balanced meal that I put a lot of effort into. 


Josh is currently taking a super hard class for his Masters Program.  This makes for long days followed by lots of homework.  The nice thing is that the end is in sight. He'll graduate in June.  In the meantime, I am grateful to be feeling better and carrying my weight around here so he can focus on his schoolwork & job.

Contracts for next school year came out, 
and Josh was offered one.

We are excited to be coming back to Marshall for another school year,
and I think we are both (finally) feeling optimistic about the future now that I am well.

Happy weekend!!!



 About two weeks ago, mama was burning out.  I found that by bedtime, my patience was gone, and I was not enjoying the whole routine like I used to.

I talked to Josh about it, and he agreed that it wasn't working.  Many times he's not here, so I am at it, all alone, all day long, until they are asleep.  

 We figured out that the main problem was my singing them to sleep.  I would sit in the rocking chair with Wyatt and sing until the twins fell asleep. Then I'd lay Wyatt down in his crib.

Used to be that Wyatt would fall asleep in my arms. But recently he's become a sleep fighter and instead of drifting off, he'd play with his tongue, make clicking noises or try to sing over me, which drove his brothers crazy.  

I agreed with Josh that the singing had to go. It was hard to decide, especially us not being sure if Wyatt is our last.  If he is our last, I wonder if I'll regret not rocking him for longer.  But neither of us seemed to be enjoying it anymore.

And the transition has been really smooth.  We transferred the twins' Baby Genius sleep CD to my iPod and are using it to help them fall asleep.  The twins adjusted really quickly, whereas Wyatt took a while.

He asks every night if I will sing to him in the rocking chair. But my sanity is worth saying goodnight with a hug and a kiss. I am out of there so much faster than in the past, and with falling asleep on their own, it seems the twins have been up less often at night as well. 

We are still doing the rest of our bedtime routine (pajamas, brush teeth, read stories, go potty, say prayers and have hugs & kisses) and honestly, knowing I'm not going to be in there fighting with Wyatt for 45 minutes after lights out, I am enjoying each step more than ever.

We have talked in the past about separating the boys into their own rooms, but the convenience of having them all in one room on the nights I am doing bedtime by myself outweighs any benefit to separate rooms.  Plus, they like being together. Jack said if we get a bigger house someday he would like his own room, but he wants it next to Wyatt's so he can hear if Wyatt needs him.

So for now, this is what bedtime looks like.
And I'm happy about it.


A Teacher Is Born

{Class Field Trip :: Berry Picking}
In 2006 Josh found his calling.  He had been working for two years as a sign language interpreter/staff assistant in an elementary school and one day he came home and told me he wanted to be a teacher.  He had witnessed a student being taught the same lesson over and over, and finally, that afternoon, the light bulb had gone off.  The student had finally grasped the concept.

A teacher was born.

Now, three years into his teaching career here in Marshall, Josh's classroom has some needs that are beyond the scope of our budget.  Using the site, he has set up fundraising to get his classroom a Mac Mini.

The Mac Mini is a tiny computer that will link directly up to his SMART board, so his computer doesn't have to travel from his desk to the front of the room every time he uses it.  The SMART board is an interactive display that he uses for everything.  The Mac Mini will improve the classroom and allow students to take charge of their learning.

Here's a link to the site for his DonorsChoose Account.

Please also feel free to share a link to this blog post or his DonorsChoose account.
Thank you so much for choosing to support Josh's classroom.
These kids deserve it!